**Wanted**
Now find the line further down that holds "1.662 -4.881", then copy that line and all lines after it there.

**Source**
'''
Record 1
Cr3BrN | Alexandria | PBE | relaxed; E above lowest polymorph = 0.0 meV/atom; electronic total energy = -7.338 eV per atom; calculated volume = 61 Å³/cell
1.0
-3.881 0.129 0.656
-0.669 -0.753 -3.807
0.001 -3.863 0.763
Cr N Br
3 1 1
Direct
0.500 0.000 0.000
0.000 0.500 0.000
0.000 0.000 0.500
0.000 0.000 0.000
0.500 0.500 0.500

---

Record 2
CaCoHg | Alexandria | PBE | relaxed; electronic total energy = -3.000 eV per atom; calculated volume = 63 Å³/cell; formation energy = 0.41 eV per formula unit
1.0
5.692 -0.172 0.000
3.663 4.360 0.000
-4.677 -2.094 2.483
Co Hg Ca
1 1 1
Direct
0.306 0.306 0.000
0.699 0.699 0.000
0.995 0.995 0.000

---

Record 3
MnTlP | Alexandria | PBE | relaxed; E above lowest polymorph = 57.0 meV/atom; electronic total energy = -5.519 eV per atom; calculated volume = 67 Å³/cell; formation energy = 0.39 eV per formula unit
1.0
-2.648 2.305 1.965
0.694 0.623 -3.913
-3.489 -3.064 -1.107
Mn Tl P
1 1 1
Direct
0.000 0.000 0.000
0.333 0.667 0.500
0.667 0.333 0.000

---

Record 4
NaMgHI2 | Alexandria | PBE | relaxed; electronic total energy = -2.606 eV per atom; calculated volume = 136 Å³/cell
1.0
-3.312 -4.531 1.827
4.814 -2.651 2.154
-0.551 1.784 3.427
I Mg H Na
2 1 1 1
Direct
0.000 0.500 0.000
0.500 0.000 0.000
0.000 0.000 0.000
0.000 0.000 0.500
0.500 0.500 0.500

---

Record 5
RbTaPdO4 | Alexandria | PBE | relaxed; electronic total energy = -7.150 eV per atom; calculated volume = 220 Å³/cell
1.0
6.010 0.000 0.000
-3.005 6.679 0.465
0.000 -3.193 5.251
Ta O Rb Pd
2 8 2 2
Direct
0.500 0.000 0.500
0.500 0.000 0.000
0.327 0.653 0.779
0.327 0.653 0.374
0.300 0.021 0.760
0.673 0.347 0.626
0.279 0.979 0.240
0.700 0.979 0.240
0.673 0.347 0.221
0.721 0.021 0.760
0.167 0.335 0.917
0.833 0.665 0.083
0.000 0.500 0.500
0.500 0.500 0.500

---

Record 6
Na2BeAsO6 | Alexandria | PBE | relaxed; electronic total energy = -5.164 eV per atom; calculated volume = 117 Å³/cell
1.0
-0.098 -1.025 -4.774
1.662 -4.881 1.014
-5.147 1.051 -0.120
O As Be Na
6 1 1 2
Direct
0.752 0.151 0.849
0.248 0.302 0.151
0.752 0.698 0.849
0.248 0.849 0.698
0.248 0.849 0.151
0.752 0.151 0.302
0.500 0.000 0.000
0.000 0.000 0.000
0.153 0.333 0.667
0.847 0.667 0.333

----------

Material: Ba2UCl3O3
Method: DFT, PBE-GGA
State: relaxed

The structure in POSCAR format:
```
Ba2UCl3O3
1.0
-0.4339 0.8963 3.3158
-5.3183 -6.0456 0.9382
7.8839 -1.2866 1.3794
Ba U Cl O
2 1 3 3
direct
0.5000 0.3333 0.6667 Ba
0.5000 0.6667 0.3333 Ba
0.0000 0.0000 0.0000 U
0.0000 0.0000 0.4120 Cl
0.0000 0.5880 0.5880 Cl
0.0000 0.4120 0.0000 Cl
0.5000 0.8182 0.0000 O
0.5000 0.1818 0.1818 O
0.5000 0.0000 0.8182 O
```

Properties
Calculated volume, Å³ per cell: 197
Total magnetic moment, μB/f.u.: 0.83
Raw formation energy, eV per atom: -2.381

----------

Record 1
The following is a DFT calculation (GGA-PBE) of a relaxed Pr6H2N3 crystal.

Values from the calculation:
* energy: -139.8 eV for the cell shown

Cell lengths 6.3814, 11.0572, 6.5358 Å; angles 90.00, 108.97, 90.00 degrees
Space group C2/m (No. 12)
One atom of each set of equivalent atoms:
Pr: 0.2406 0.1677 0.2251
Pr: 0.2432 0.5000 0.2238
H: 0.0000 0.1677 0.5000
N: 0.0000 0.0000 0.0000
N: 0.0000 0.3347 0.0000


Record 2
The following is a DFT calculation (GGA-PBE) of a relaxed AlCrCl2 crystal.

Values from the calculation:
* formation energy (no corrections): -0.400 eV/atom
* energy: -37.3 eV for the cell shown
* energy relative to the lowest polymorph listed for this composition: 155 meV per atom

Cell lengths 3.3205, 6.0343, 9.0927 Å; angles 90.00, 90.00, 90.00 degrees
Space group Cmm2 (No. 35)
One atom of each set of equivalent atoms:
Al: 0.0000 0.0000 0.0000
Cr: 0.0000 0.5000 0.7753
Cl: 0.0000 0.0000 0.5887
Cl: 0.0000 0.5000 0.1879

----------

Entry 1:
Eu2CuO | PBE | optimized geometry
'''

**Reply**
1.662 -4.881 1.014
-5.147 1.051 -0.120
O As Be Na
6 1 1 2
Direct
0.752 0.151 0.849
0.248 0.302 0.151
0.752 0.698 0.849
0.248 0.849 0.698
0.248 0.849 0.151
0.752 0.151 0.302
0.500 0.000 0.000
0.000 0.000 0.000
0.153 0.333 0.667
0.847 0.667 0.333

----------

Material: Ba2UCl3O3
Method: DFT, PBE-GGA
State: relaxed

The structure in POSCAR format:
```
Ba2UCl3O3
1.0
-0.4339 0.8963 3.3158
-5.3183 -6.0456 0.9382
7.8839 -1.2866 1.3794
Ba U Cl O
2 1 3 3
direct
0.5000 0.3333 0.6667 Ba
0.5000 0.6667 0.3333 Ba
0.0000 0.0000 0.0000 U
0.0000 0.0000 0.4120 Cl
0.0000 0.5880 0.5880 Cl
0.0000 0.4120 0.0000 Cl
0.5000 0.8182 0.0000 O
0.5000 0.1818 0.1818 O
0.5000 0.0000 0.8182 O
```

Properties
Calculated volume, Å³ per cell: 197
Total magnetic moment, μB/f.u.: 0.83
Raw formation energy, eV per atom: -2.381

----------

Record 1
The following is a DFT calculation (GGA-PBE) of a relaxed Pr6H2N3 crystal.

Values from the calculation:
* energy: -139.8 eV for the cell shown

Cell lengths 6.3814, 11.0572, 6.5358 Å; angles 90.00, 108.97, 90.00 degrees
Space group C2/m (No. 12)
One atom of each set of equivalent atoms:
Pr: 0.2406 0.1677 0.2251
Pr: 0.2432 0.5000 0.2238
H: 0.0000 0.1677 0.5000
N: 0.0000 0.0000 0.0000
N: 0.0000 0.3347 0.0000


Record 2
The following is a DFT calculation (GGA-PBE) of a relaxed AlCrCl2 crystal.

Values from the calculation:
* formation energy (no corrections): -0.400 eV/atom
* energy: -37.3 eV for the cell shown
* energy relative to the lowest polymorph listed for this composition: 155 meV per atom

Cell lengths 3.3205, 6.0343, 9.0927 Å; angles 90.00, 90.00, 90.00 degrees
Space group Cmm2 (No. 35)
One atom of each set of equivalent atoms:
Al: 0.0000 0.0000 0.0000
Cr: 0.0000 0.5000 0.7753
Cl: 0.0000 0.0000 0.5887
Cl: 0.0000 0.5000 0.1879

----------

Entry 1:
Eu2CuO | PBE | optimized geometry